[Activity]
The reader should set down only the last part of the block below, starting with the line that has "0.516".

[Material]
____________
Record 1
This entry pairs a crystal structure of LiMnO2 with its simulated X-ray diffraction stick pattern. Radiation: Cu Ka. Structure: a structure optimized by DFT (GGA+U).
Intensities are scaled so that the largest is 100.

a = 5.971 Å, b = 5.971 Å, c = 8.428 Å
α = 89.70°, β = 89.92°, γ = 89.45°
Fractional positions:
Li  0.000  0.000  0.000
Li  0.245  0.754  0.753
Li  0.247  0.253  0.252
Li  0.248  0.253  0.748
Li  0.500  0.500  0.500
Li  0.752  0.747  0.252
Li  0.753  0.747  0.748
Li  0.755  0.246  0.247
Mn  0.000  0.000  0.500
Mn  0.000  0.500  0.000
Mn  0.000  0.500  0.500
Mn  0.249  0.748  0.251
Mn  0.500  0.000  0.000
Mn  0.500  0.000  0.500
Mn  0.500  0.500  0.000
Mn  0.751  0.252  0.749
O  0.014  0.514  0.268
O  0.017  0.982  0.272
O  0.215  0.248  0.499
O  0.228  0.753  0.992
O  0.251  0.785  0.516
O  0.255  0.276  0.000
O  0.482  0.518  0.237
O  0.485  0.984  0.262
O  0.515  0.016  0.738
O  0.518  0.482  0.763
O  0.745  0.724  0.000
O  0.749  0.215  0.484
O  0.772  0.247  0.008
O  0.785  0.752  0.501
O  0.983  0.018  0.728
O  0.986  0.486  0.732

Peak list (6 most intense, 10° ≤ 2θ ≤ 90°, sorted by position)
- (0 1 -1), 18.23°, d = 4.867 Å, rel. 100.0
- (0 0 2), 21.11°, d = 4.208 Å, rel. 56.4
- (2 2 0), 42.62°, d = 2.121 Å, rel. 52.2
- (0 0 4), 42.93°, d = 2.107 Å, rel. 50.9
- (2 -2 0), 43.05°, d = 2.101 Å, rel. 50.5
- (2 2 -4), 62.21°, d = 1.492 Å, rel. 41.3

---

Record 2
This entry pairs a crystal structure of NiPO4 with its simulated X-ray diffraction stick pattern. Radiation: Cu Ka. Structure: a structure optimized by DFT (GGA+U).
Intensities are scaled so that the largest is 100.

a = 9.009 Å, b = 7.344 Å, c = 9.873 Å
α = 90.00°, β = 90.00°, γ = 90.00°
Fractional positions:
Ni  0.094  0.159  0.000
Ni  0.095  0.153  0.667
Ni  0.405  0.153  0.167
Ni  0.406  0.159  0.500
Ni  0.594  0.841  0.000
Ni  0.595  0.847  0.667
Ni  0.905  0.847  0.167
Ni  0.906  0.841  0.500
P  0.087  0.163  0.335
P  0.249  0.742  0.081
P  0.251  0.742  0.581
P  0.413  0.163  0.835
P  0.587  0.837  0.335
P  0.749  0.258  0.081
P  0.751  0.258  0.581
P  0.913  0.837  0.835
O  0.009  0.017  0.834
O  0.031  0.385  0.898
O  0.032  0.383  0.763
O  0.111  0.853  0.594
O  0.112  0.859  0.075
O  0.184  0.176  0.464
O  0.184  0.180  0.206
O  0.247  0.543  0.074
O  0.253  0.543  0.574
O  0.316  0.176  0.964
O  0.316  0.180  0.706
O  0.388  0.859  0.575
O  0.389  0.853  0.094
O  0.468  0.383  0.263
O  0.469  0.385  0.398
O  0.491  0.017  0.334
O  0.509  0.983  0.834
O  0.531  0.615  0.898
O  0.532  0.617  0.763
O  0.611  0.147  0.594
O  0.612  0.141  0.075
O  0.684  0.820  0.206
O  0.684  0.824  0.464
O  0.747  0.457  0.074
O  0.753  0.457  0.574
____________

[Here it is]
O  0.251  0.785  0.516
O  0.255  0.276  0.000
O  0.482  0.518  0.237
O  0.485  0.984  0.262
O  0.515  0.016  0.738
O  0.518  0.482  0.763
O  0.745  0.724  0.000
O  0.749  0.215  0.484
O  0.772  0.247  0.008
O  0.785  0.752  0.501
O  0.983  0.018  0.728
O  0.986  0.486  0.732

Peak list (6 most intense, 10° ≤ 2θ ≤ 90°, sorted by position)
- (0 1 -1), 18.23°, d = 4.867 Å, rel. 100.0
- (0 0 2), 21.11°, d = 4.208 Å, rel. 56.4
- (2 2 0), 42.62°, d = 2.121 Å, rel. 52.2
- (0 0 4), 42.93°, d = 2.107 Å, rel. 50.9
- (2 -2 0), 43.05°, d = 2.101 Å, rel. 50.5
- (2 2 -4), 62.21°, d = 1.492 Å, rel. 41.3

---

Record 2
This entry pairs a crystal structure of NiPO4 with its simulated X-ray diffraction stick pattern. Radiation: Cu Ka. Structure: a structure optimized by DFT (GGA+U).
Intensities are scaled so that the largest is 100.

a = 9.009 Å, b = 7.344 Å, c = 9.873 Å
α = 90.00°, β = 90.00°, γ = 90.00°
Fractional positions:
Ni  0.094  0.159  0.000
Ni  0.095  0.153  0.667
Ni  0.405  0.153  0.167
Ni  0.406  0.159  0.500
Ni  0.594  0.841  0.000
Ni  0.595  0.847  0.667
Ni  0.905  0.847  0.167
Ni  0.906  0.841  0.500
P  0.087  0.163  0.335
P  0.249  0.742  0.081
P  0.251  0.742  0.581
P  0.413  0.163  0.835
P  0.587  0.837  0.335
P  0.749  0.258  0.081
P  0.751  0.258  0.581
P  0.913  0.837  0.835
O  0.009  0.017  0.834
O  0.031  0.385  0.898
O  0.032  0.383  0.763
O  0.111  0.853  0.594
O  0.112  0.859  0.075
O  0.184  0.176  0.464
O  0.184  0.180  0.206
O  0.247  0.543  0.074
O  0.253  0.543  0.574
O  0.316  0.176  0.964
O  0.316  0.180  0.706
O  0.388  0.859  0.575
O  0.389  0.853  0.094
O  0.468  0.383  0.263
O  0.469  0.385  0.398
O  0.491  0.017  0.334
O  0.509  0.983  0.834
O  0.531  0.615  0.898
O  0.532  0.617  0.763
O  0.611  0.147  0.594
O  0.612  0.141  0.075
O  0.684  0.820  0.206
O  0.684  0.824  0.464
O  0.747  0.457  0.074
O  0.753  0.457  0.574